
A Letter from Previous Editor in Chief, Lainie Alfaro. 

=====
For BaCoN4, DFT lattice parameters and positions (GGA-PBE) gives the computed X-ray diffraction stick pattern in this record (copper Kα).
Intensities are scaled so that the largest is 100.

Lattice parameters (Å, degrees): 6.350 6.350 4.941 90.00 90.00 90.00
Space group P4_2/mmc (No. 131)
Inequivalent atoms, fractional coordinates:
Ba  0.000  0.500  0.000 x2
Co  0.000  0.000  0.250 x2
N  0.276  0.409  0.500 x8

Principal peaks in the range 10° ≤ 2θ ≤ 90°, by angle:
(hkl), Position (°2θ), I/Imax
1 1 0, 19.77, 18
1 0 1, 22.80, 87
2 0 0, 28.10, 67
2 1 0, 31.50, 22
2 1 1, 36.49, 100
2 2 0, 40.17, 24
1 1 2, 41.73, 50
3 2 1, 55.37, 21
3 1 2, 59.30, 40
5 0 1, 77.60, 19

=====

This entry pairs a crystal structure of Na3TiGaSi2SO12 with its computed PXRD pattern. Radiation: Cu Kα (λ = 1.5418 Å). Structure: a PBE-relaxed structure.
Intensities are scaled so that the largest is 100.

Main lines, in order of rising 2θ (2θ from 10° to 90°):
14.04°, I = 43
19.79°, I = 77
19.94°, I = 59
23.29°, I = 27
23.40°, I = 61
28.30°, I = 27
30.91°, I = 29
31.47°, I = 51
31.59°, I = 100
34.96°, I = 51

```
data_Na3TiGaSi2SO12
_symmetry_space_group_name_H-M 'C 1 c 1'
_symmetry_Int_Tables_number 9
_symmetry_space_group_name_Hall 'C -2yc'
_cell_length_a 15.465
_cell_length_b 8.876
_cell_length_c 8.965
_cell_angle_alpha 90.00
_cell_angle_beta 124.85
_cell_angle_gamma 90.00
loop_
_atom_site_label
_atom_site_type_symbol
_atom_site_fract_x
_atom_site_fract_y
_atom_site_fract_z
Na1 Na 0.000 0.067 0.000
Na2 Na 0.370 0.069 0.008
Na3 Na 0.433 0.257 0.755
Ti1 Ti 0.094 0.233 0.702
Ga1 Ga 0.289 0.257 0.315
Si1 Si 0.196 0.043 0.517
Si2 Si 0.336 0.399 0.017
S1 S 0.046 0.398 0.011
O1 O 0.041 0.437 0.531
O2 O 0.043 0.372 0.845
O3 O 0.109 0.142 0.529
O4 O 0.114 0.064 0.836
O5 O 0.139 0.325 0.173
O6 O 0.228 0.314 0.844
O7 O 0.270 0.063 0.193
O8 O 0.274 0.144 0.489
O9 O 0.340 0.367 0.200
O10 O 0.346 0.421 0.496
O11 O 0.436 0.311 0.031
O12 O 0.455 0.171 0.501
```

=====

Computed powder X-ray diffraction pattern
Compound: Na3YN2
Radiation: Cu Kα X-rays
Structure: a DFT-relaxed cell (PBE, the Materials Project)

Largest 12 diffraction maxima, by angle, 10° ≤ 2θ ≤ 80°:
2θ = 18.7°, d 4.743, I = 75; 2θ = 28.8°, d 3.105, I = 72; 2θ = 30.8°, d 2.904, I = 88; 2θ = 36.3°, d 2.477, I = 32; 2θ = 39.6°, d 2.278, I = 20; 2θ = 44.1°, d 2.054, I = 100; 2θ = 48.3°, d 1.885, I = 20; 2θ = 53.5°, d 1.713, I = 21; 2θ = 54.7°, d 1.677, I = 17; 2θ = 58.4°, d 1.581, I = 25; 2θ = 63.0°, d 1.475, I = 14; 2θ = 72.8°, d 1.299, I = 16

Atomic structure:
Unit cell a=10.0612 b=10.0612 c=10.0612 alpha=109.47 beta=109.47 gamma=109.47
Positions (direct):
Na  0.0118  0.5478  0.7782
Na  0.0360  0.7696  0.0478
Na  0.0478  0.0360  0.7696
Na  0.2218  0.9882  0.4522
Na  0.2304  0.9522  0.9640
Na  0.2336  0.7218  0.2696
Na  0.2664  0.5360  0.4882
Na  0.2696  0.2336  0.7218
Na  0.2782  0.7304  0.7664
Na  0.4522  0.2218  0.9882
Na  0.4640  0.5118  0.7336
Na  0.4882  0.2664  0.5360
Na  0.5118  0.7336  0.4640
=====

Hello PLNU Community,

This is Lainie Alfaro, the previous editor in chief of The Point. As we wrap up this semester, I’ve spent some time reflecting on my experiences working at The Point. I’ve learned a lot about journalistic integrity, balanced storytelling and how to listen, often, louder than I speak. But now, it’s come to this: since I am no longer an editor (it was my choice to step down and focus on the rest of my senior year), I would like to say a few of my own words. To be abundantly clear, I am not writing as an editor. I am not writing as a journalist. I am writing as me — someone who has their own beliefs and opinions. I am a college student, just like you.

I want to speak on the coverage we’ve done for almost a year and a half, not counting the reporters who have come before us, on multiple ground-breaking issues including changes in the Church of the Nazarene. I want to recognize the hours of interviews and research done to understand this denomination. I want to recognize the people who requested anonymity for fear of retribution and loss of employment in this pursuit of storytelling. I want to recognize the tears and the loss that First Church of the Nazarene experienced on Sunday, Nov. 26, as Pastor Dee Kelley gave his final sermon. I want to recognize the current sense of fear and anxiety on our campus and in local Nazarene churches. 

I’ve covered the protests that happened on our campus last semester. I’ve reported on the initial breaking news about Pastor Dee Kelley’s dismissal. I’ve interviewed numerous people on the direct effects of the elevation of the Covenants of Christian Character and Conduct. I’d like to think that I’ve done my job as a journalist to offer balanced perspectives, to do my due diligence in research and to make sure all sides have been represented. 

But this week, I’m left feeling a bit of a loss for how a journalist is to respond in a scenario where someone has lost their job of over 17 years. I’m at a bit of a loss on how anyone can say it was a correct decision, when a congregation of about 200 people gathered on Sunday, and lament filled the room. I’m at a bit of a loss with the blatant disregard of care and support for this congregation as they are going through this change. I’m at a bit of a loss regarding the clear actions of exclusion that these covenantal changes will enable, making the church an even more inhospitable and unsafe space for the LGBTQIA+ community and allies.  

I ask the Church of the Nazarene’s General Superintendents and Southern California District Board: how do you justify these actions when they’ve caused so much harm? How do you remain unresponsive when so much hurt was palpable in that room? Where is the clear explanation for your denial of the appeal? Why haven’t you offered space for support and grief? Have you listened to the stories that I’ve heard?

I ask PLNU’s administration: why was Melissa Tucker not asked to return as an adjunct professor at our university? How are you planning to make sure LGBTQIA+ students feel like they can exist and thrive here with the covenantal changes that are occurring in our sponsoring denomination? Will these covenantal changes inform our chapel services? When will we as journalists be able to interview our professors on topics like this without getting emails asking for prior review for fear of being fired from their jobs?

In forming doctrine based on theology, I’ve learned that the Church of the Nazarene created covenants as a way to find common ground and common identity. There’s the Wesleyan Quadrilateral of Scripture, tradition, reason and experience that inform what the church believes as a unit. 

I think covenants and collective values are important in defining a community and helping us remember truth, but in their position of power, the Board of General Superintendents have elevated certain aspects of their covenants that were not originally written to have this sort of weight. These were not originally written to be equivalent to the Articles of Faith. What makes them eligible to be so now? Is it the increasing anti-transgender rhetoric forming in many states across the nation? Is it the banning and censorship of LGBTQIA+ authors in libraries? Or, is it simply a doubling-down in beliefs that the church has held for years?

The Point will continue to report on changes in the church. As a journalist who covered this multifaceted issue, I’m simply asking for answers. No more silence. No more unresponsiveness. Please just answer our questions or at least say you can’t answer them. Journalists are not trying to paint you in a bad light; it’s just hard to know what is happening without transparency. It’s hard to know what’s going on given the cacophony of other things happening in our country that aim to divide and polarize our campus and church communities.

My hope is that on this campus we are in spaces of learning and growing. I think it’s time for a perspective shift. Perhaps, it’s time to listen to others’ stories that might not look like our own. This practice helps us maintain generous assumptions and open-mindedness when meeting people who might look, sound or act different from us. I have interviewed people on all ends of political and religious spectrums. It’s both a humbling and extremely educational experience to do this and that’s what I’d like to see from our community. 

Please do not take this opinion piece as a slight against this school or the Nazarene Church; this is simply a request for communication. 

I’m not trying to change your mind or opinion on topics such as doctrine and religion, but I would offer that perhaps it’s time to ask hard questions and also listen well. What are the real implications of these changes that are affecting congregations and our campus? Where is the communication? Our words and actions speak loudly of our character and beliefs. 

As I wrap this up, I want to say the opinion section is for everyone at PLNU. Please use this resource. It’s not every day we have spaces in this world where we can hold opinions in tension — Pastor Dee Kelley’s trial shows that. Do not be afraid to stick up for what you believe in and know there are journalists out there who want to do their job well and who want to tell stories truthfully, but we are humans too.